CBSE Class 12 History Syllabus

ClassClass 12
ChapterCBSE Class 12 History Syllabus
Chapter NameChapter 1 Relations and Functions

### These calculated crystals were left in the piece by mistake
┌──
No. 1
Below is a geometry-optimized Cd3ReNi structure, with properties calculated at the PBE level.

Cell: 5.232 5.232 5.232 Å, 90.00 90.00 90.00°
Positions (direct):
Cd 0.000 0.000 0.500
Cd 0.000 0.500 0.000
Cd 0.500 0.000 0.000
Re 0.000 0.000 0.000
Ni 0.500 0.500 0.500

Results
The density of states at the Fermi level is 0.882 states/eV per atom. The value obtained for the uncorrected energy is -2.63 eV per atom. As for the symmetry: Pm-3m. The value obtained for the total magnetization is 0.49 μB per atom. For the energy above the lowest structure with this stoichiometry, the calculation gives 0.326 eV/atom. For the calculated volume, the calculation gives 143.19 Å³ per cell. Its crystal system is cubic.

---

No. 2
Below is a geometry-optimized Dy3Tm5Th2 structure, with properties calculated at the PBE level.

Cell: 9.690 9.690 9.120 Å, 108.35 108.35 114.02°
Positions (direct):
Dy 0.028 0.972 0.750
Dy 0.227 0.479 0.453
Dy 0.479 0.227 0.953
Dy 0.521 0.773 0.047
Dy 0.773 0.521 0.547
Dy 0.972 0.028 0.250
Tm 0.121 0.380 0.747
Tm 0.223 0.777 0.750
Tm 0.280 0.720 0.250
Tm 0.380 0.121 0.247
Tm 0.475 0.525 0.250
Tm 0.525 0.475 0.750
Tm 0.620 0.879 0.753
Tm 0.720 0.280 0.750
Tm 0.777 0.223 0.250
Tm 0.879 0.620 0.253
Th 0.017 0.269 0.033
Th 0.269 0.017 0.533
Th 0.731 0.983 0.467
Th 0.983 0.731 0.967

Results
The density of states at the Fermi level is 1.553 states/eV per atom. The value obtained for the uncorrected energy is -4.88 eV per atom. As for the symmetry: C2/c. The value obtained for the total magnetization is 0.00 μB per atom. For the calculated volume, the calculation gives 638.07 Å³ per cell. Its crystal system is monoclinic.

---

No. 3
Below is a geometry-optimized Ag2TeRu structure, with properties calculated at the PBE level.

Cell: 3.837 4.477 8.807 Å, 90.00 90.00 90.00°
Positions (direct):
Ag 0.000 0.000 0.000
Ag 0.000 0.500 0.229
Ag 0.500 0.000 0.729
Ag 0.500 0.500 0.500
Te 0.000 0.500 0.771
Te 0.500 0.000 0.271
Ru 0.000 0.000 0.469
Ru 0.500 0.500 0.969

Results
The density of states at the Fermi level is 0.582 states/eV per atom. The value obtained for the uncorrected energy is -4.14 eV per atom. As for the symmetry: Imm2. The value obtained for the total magnetization is 0.00 μB per atom. The formation energy (no corrections) is 0.389 eV/atom. For the calculated volume, the calculation gives 151.28 Å³ per cell. Its crystal system is orthorhombic.

---

No. 4
Below is a geometry-optimized BeAg structure, with properties calculated at the PBE level.

Cell: 2.952 4.271 4.300 Å, 90.00 90.00 90.00°
Positions (direct):
Be 0.250 0.250 0.067
Be 0.750 0.750 0.933
Ag 0.250 0.750 0.382
Ag 0.750 0.250 0.618

Results
└──

CBSE Class 12 History Syllabus

The CBSE Class 12 History syllabus offers a detailed exploration of historical events and processes, focusing on ancient, medieval, and modern periods. The syllabus is designed to provide students with a comprehensive understanding of historical developments, socio-economic changes, and their impact on contemporary society.

**Unit 1: Early Societies

  • Chapter 1: Bricks, Beads, and Bones

    • Early societies: The Harappan Civilization
    • Social, economic, and technological aspects
    • Artifacts and their significance
  • Chapter 2: Kings, Farmers, and Towns

    • The early Vedic period
    • Rise of states and empires: Mauryan and post-Mauryan
    • Economic and social changes

**Unit 2: Empires and States

  • Chapter 3: An Empire Across Three Continents

    • The Mauryan Empire: Administration, economy, and culture
    • Spread of Buddhism and its impact
  • Chapter 4: The Mughal Empire

    • Rise and establishment of the Mughal Empire
    • Akbar’s policies and administration
    • Decline and fall of the Mughal Empire
  • Chapter 5: Colonialism and the Countryside

    • Impact of British colonialism on rural India
    • Changes in agrarian relations and economy
    • Peasant revolts and uprisings

## Attached: records of crystals
Record 1
First-principles (PBE) data for crystalline NbRe2Rh2 at its relaxed geometry, as listed in Alexandria via LeMat-Bulk.

## Properties
As for the symmetry: No. 127. The value obtained for the size of the total moment is 0.00 μB/cell. The volume comes out at 157.8 Å³/cell. The theoretical density is 14127 kg/m³. The energy relative to the lowest polymorph listed for this composition is 5 meV/atom.

a b c (Å): 7.5890 7.5890 2.7395
angles (deg): 90.00 90.00 90.00
With the nearest neighbours (Å) after each atom.
Atoms (fractional coordinates):
Re  0.3782  0.8782  0.0000  6 Rh 2.60-2.65, 3 Re 2.61-2.74
Re  0.8782  0.6218  0.0000  6 Rh 2.60-2.65, 3 Re 2.61-2.74
Re  0.6218  0.1218  0.0000  6 Rh 2.60-2.65, 3 Re 2.61-2.74
Re  0.1218  0.3782  0.0000  6 Rh 2.60-2.65, 3 Re 2.61-2.74
Nb  0.0000  0.0000  0.0000  2 Nb 2.74, 4 Re 3.02
Nb  0.5000  0.5000  0.0000  2 Nb 2.74, 4 Re 3.02
Rh  0.1728  0.6728  0.5000  6 Re 2.60-2.65, 2 Rh 2.74
Rh  0.6728  0.8272  0.5000  6 Re 2.60-2.65, 2 Rh 2.74
Rh  0.8272  0.3272  0.5000  6 Re 2.60-2.65, 2 Rh 2.74
Rh  0.3272  0.1728  0.5000  6 Re 2.60-2.65, 2 Rh 2.74


Record 2
First-principles (PBE) data for crystalline AcTm8 at its relaxed geometry, as listed in Alexandria via LeMat-Bulk.

## Properties
As for the symmetry: No. 139. The value obtained for the size of the total moment is 0.00 μB/cell. The volume comes out at 283.5 Å³/cell. The theoretical density is 9246 kg/m³. As for the total energy: -4.38 eV/atom.

a b c (Å): 4.9997 7.9342 7.9342
angles (deg): 84.30 71.63 71.63
With the nearest neighbours (Å) after each atom.
Atoms (fractional coordinates):
Ac  0.0000  0.0000  0.0000  12 Tm 3.59
Tm  0.6712  0.0000  0.6575  10 Tm 3.45-3.65, 2 Ac 3.59
Tm  0.3288  0.0000  0.3425  10 Tm 3.45-3.65, 2 Ac 3.59
Tm  0.0000  0.3374  0.6626  11 Tm 3.46-3.56, 1 Ac 3.59
Tm  0.3288  0.3425  0.0000  10 Tm 3.45-3.65, 2 Ac 3.59
Tm  0.6626  0.3374  0.3374  11 Tm 3.46-3.56, 1 Ac 3.59
Tm  0.6712  0.6575  0.0000  10 Tm 3.45-3.65, 2 Ac 3.59
Tm  0.0000  0.6626  0.3374  11 Tm 3.46-3.56, 1 Ac 3.59
Tm  0.3374  0.6626  0.6626  11 Tm 3.46-3.56, 1 Ac 3.59

=====

Density functional theory data (PBE-GGA) for crystalline LiGaCo2Cu at its relaxed geometry.

Lattice parameters (Å, degrees): 3.962 3.962 3.958 90.00 90.00 90.00
Space group P4/mmm (No. 123)
One atom of each set of equivalent atoms:
Li (0.000, 0.000, 0.000)
Ga (0.500, 0.500, 0.500)
Co (0.000, 0.500, 0.000)
Cu (0.000, 0.000, 0.500)

Fermi-level density of states ... 1.45 states/eV/atom
Total energy ... -19.49 eV/f.u.
E_form ... 752.3 meV/atom

=====

1.
# Ce2Sm2Bi5 | the Alexandria database | PBE-GGA | optimized geometry
data_Ce2Sm2Bi5
_chemical_formula_sum 'Ce4 Sm4 Bi10'
_cell_length_a 8.535
_cell_length_b 9.077
_cell_length_c 9.077
_cell_angle_alpha 124.32
_cell_angle_beta 90.00
_cell_angle_gamma 90.00
_space_group_name_H-M_alt 'P 1'
_space_group_IT_number 1
_space_group_name_Hall 'P 1'
loop_
_atom_site_label
_atom_site_type_symbol
_atom_site_fract_x
_atom_site_fract_y
_atom_site_fract_z

**Unit 3: Nation and State

  • Chapter 6: The First War of Independence (1857-58)

    • Causes and consequences of the revolt
    • Key events and leaders
    • Impact on British policies
  • Chapter 7: Nationalism in India

    • Freedom struggle: Key events and movements
    • Role of prominent leaders and organizations
    • The path to independence
  • Chapter 8: The Making of the Indian Constitution

Materials data that have nothing to do with the article.
Entry 1:
Below is CsPtAu3O4 after structural relaxation, with properties calculated at the PBE level.

POSCAR file:
```
CsPtAu3O4
1.0
5.707 0.000 0.000
0.000 5.707 0.000
0.000 0.000 5.707
Cs Pt Au O
1 1 3 4
direct
0.000 0.000 0.000
0.500 0.500 0.500
0.000 0.500 0.500
0.500 0.000 0.500
0.500 0.500 0.000
0.283 0.283 0.283
0.283 0.717 0.717
0.717 0.283 0.717
0.717 0.717 0.283
```

E: -33.5 eV per cell
Space group: No. 215


Entry 2:
Below is CsRbAu2O2 after structural relaxation, with properties calculated at the PBE level.

POSCAR file:
```
CsRbAu2O2
1.0
6.063 0.000 0.000
0.000 2.968 4.715
0.000 -2.968 4.715
Cs Rb Au O
1 1 2 2
direct
0.000 0.000 0.000
0.500 0.668 0.668
0.251 0.337 0.337
0.749 0.337 0.337
0.000 0.483 0.483
0.500 0.190 0.190
```

E: -23.0 eV per cell
Space group: No. 38


Entry 3:
Below is CsRbAu2O4 after structural relaxation, with properties calculated at the PBE level.

POSCAR file:
```
CsRbAu2O4
1.0
6.173 0.000 0.000
0.000 2.006 6.521
0.000 -2.006 6.521
Cs Rb Au O
1 1 2 4
direct
0.000 0.000 0.000
0.500 0.571 0.571
0.000 0.281 0.281
0.500 0.286 0.286
0.247 0.386 0.386
0.256 0.182 0.182
0.744 0.182 0.182
0.753 0.386 0.386
```

E: -34.0 eV per cell
Space group: No. 38


Entry 4:
Below is CsReAu3O4 after structural relaxation, with properties calculated at the PBE level.

POSCAR file:
```
CsReAu3O4
1.0
5.920 0.000 0.000
0.000 5.920 0.000
0.000 0.000 5.920
Cs Re Au O
1 1 3 4
direct
0.000 0.000 0.000
0.500 0.500 0.500
0.000 0.500 0.500
0.500 0.000 0.500
0.500 0.500 0.000
0.317 0.317 0.317
0.317 0.683 0.683
0.683 0.317 0.683
0.683 0.683 0.317
```

E: -44.9 eV per cell
Space group: No. 215


Entry 5:
Below is CsAuSO after structural relaxation, with properties calculated at the PBE level.

POSCAR file:
```
CsAuSO
1.0
5.819 0.000 0.000
0.000 7.864 0.000
-1.919 0.000 9.491
Cs Au S O
4 4 4 4
direct
0.098 0.216 0.424
0.098 0.284 0.924
0.902 0.716 0.076
0.902 0.784 0.576
0.472 0.510 0.734
0.472 0.990 0.234
0.528 0.010 0.766
0.528 0.490 0.266
0.333 0.650 0.399
0.333 0.850 0.899
0.667 0.150 0.101
0.667 0.350 0.601
0.247 0.660 0.827
0.247 0.840 0.327
0.753 0.160 0.673
0.753 0.340 0.173
```

E: -64.0 eV per cell
Space group: No. 14
Energy relative to the lowest polymorph listed for this composition: 0 meV per atom


Entry 6:
Below is Cs5AuSO2 after structural relaxation, with properties calculated at the PBE level.

POSCAR file:
```
Cs5AuSO2
1.0
5.865 0.000 0.000
0.000 5.865 0.000
0.000 0.000 9.671
Cs Au S O
5 1 1 2
direct
0.000 0.000 0.000
0.000 0.500 0.254
0.000 0.500 0.746
0.500 0.000 0.254
0.500 0.000 0.746
0.000 0.000 0.500
0.500 0.500 0.000
0.000 0.000 0.291
0.000 0.000 0.709
```

E: -30.4 eV per cell
Space group: No. 123

----------

# 1
Computed, not measured: a geometry-optimized Tb2Pr2Hg structure at the PBE-GGA level of DFT.

Space-group type: C2/m, No. 12
Volume: 314 Å³ per cell
Final energy: -39.24 eV for the cell shown
Polymorph energy (0 for the lowest one): 8.13 kJ/mol of atoms
Formation enthalpy at 0 K: -0.099 eV per atom
End of the materials data.

    • Formation and evolution of the Constitution
    • Key features and principles
    • Role of the Constituent Assembly

**Unit 4: World History

  • Chapter 9: The World Between the Wars

    • Major global events: The Great Depression, rise of fascism
    • Impact of World War I and II on global politics
  • Chapter 10: The Cold War Era

    • Origins and development of the Cold War
    • Major conflicts and treaties
    • End of the Cold War and its impact
  • Chapter 11: Post-Colonial World

    • Decolonization and the emergence of new nations
    • Major political and social changes
    • Globalization and its effects

Assessment and Exam Pattern

  • Theory Exam: The theory exam generally includes multiple-choice questions, short answer questions, and long answer questions based on the above topics.
  • Practical Exam: Some schools may include project work or presentations related to historical events and interpretations.


The CBSE Class 12 History syllabus provides an in-depth analysis of historical events and processes, helping students understand the complexities of historical developments and their impact on the modern world. Mastery of these topics prepares students for advanced studies in history, political science, and related disciplines.